**Contents:**
-- begin --
A plane-wave DFT calculation with PBE was carried out for a relaxed structure of Na14Al4Zn4Si5S7O48.

Lattice parameters (Å, degrees): 8.887 15.555 21.765 90.40 90.06 90.01
Fractional coordinates of all 246 atoms:
Na 0.000 0.000 0.000
Na 0.003 0.971 0.326
Na 0.012 0.672 0.666
Na 0.013 0.305 0.678
Na 0.021 0.643 0.001
Na 0.133 0.804 0.167
Na 0.137 0.134 0.499
Na 0.141 0.170 0.161
Na 0.149 0.473 0.832
Na 0.153 0.508 0.502
Na 0.173 0.156 0.834
Na 0.188 0.826 0.490
Na 0.212 0.491 0.164
Na 0.314 0.333 0.249
Na 0.319 0.986 0.918
Na 0.320 0.653 0.079
Na 0.324 0.331 0.753
Na 0.334 0.979 0.412
Na 0.336 0.647 0.580
Na 0.436 0.491 0.668
Na 0.459 0.827 0.994
Na 0.473 0.149 0.332
Na 0.495 0.479 0.324
Na 0.501 0.509 0.001
Na 0.512 0.808 0.668
Na 0.515 0.170 0.666
Na 0.633 0.672 0.160
Na 0.637 0.308 0.165
Na 0.648 0.005 0.501
Na 0.654 0.977 0.830
Na 0.676 0.652 0.839
Na 0.685 0.328 0.495
Na 0.712 0.989 0.164
Na 0.814 0.144 0.078
Na 0.818 0.481 0.915
Na 0.822 0.144 0.584
Na 0.825 0.493 0.414
Na 0.826 0.831 0.249
Na 0.834 0.833 0.753
Na 0.939 0.990 0.667
Na 0.962 0.326 0.990
Na 0.978 0.657 0.331
Al 0.314 0.333 0.895
Al 0.322 0.649 0.426
Al 0.322 0.968 0.272
Al 0.322 0.984 0.768
Al 0.322 0.988 0.059
Al 0.331 0.335 0.400
Al 0.816 0.498 0.564
Al 0.831 0.473 0.775
Al 0.833 0.149 0.926
Al 0.834 0.487 0.265
Al 0.834 0.834 0.394
Al 0.836 0.843 0.906
Zn 0.311 0.641 0.737
Zn 0.317 0.343 0.597
Zn 0.319 0.646 0.240
Zn 0.325 0.649 0.932
Zn 0.325 0.986 0.565
Zn 0.341 0.336 0.097
Zn 0.810 0.838 0.597
Zn 0.820 0.139 0.425
Zn 0.824 0.489 0.064
Zn 0.830 0.146 0.742
Zn 0.837 0.141 0.234
Zn 0.853 0.845 0.090
Si 0.048 0.991 0.166
Si 0.101 0.490 0.665
Si 0.127 0.821 0.001
Si 0.168 0.502 0.333
Si 0.171 0.470 0.001
Si 0.179 0.798 0.334
Si 0.480 0.479 0.497
Si 0.483 0.503 0.832
Si 0.539 0.492 0.167
Si 0.611 0.992 0.667
Si 0.663 0.001 0.331
Si 0.671 0.981 0.998
Si 0.972 0.299 0.834
Si 0.977 0.972 0.500
Si 0.982 0.002 0.831
S 0.017 0.660 0.831
S 0.033 0.323 0.498
S 0.131 0.163 0.334
S 0.181 0.177 0.999
S 0.181 0.841 0.667
S 0.182 0.136 0.665
S 0.466 0.133 0.165
S 0.467 0.185 0.497
S 0.469 0.846 0.163
S 0.472 0.807 0.830
S 0.528 0.158 0.833
S 0.536 0.815 0.496
S 0.614 0.315 0.995
S 0.622 0.659 0.333
S 0.677 0.306 0.333
S 0.682 0.635 0.665
S 0.683 0.348 0.663
S 0.686 0.683 0.998
S 0.968 0.341 0.168
S 0.968 0.634 0.167
S 0.969 0.676 0.500
O 0.003 0.841 0.947
O 0.011 0.169 0.995
O 0.016 0.829 0.667
O 0.017 0.149 0.668
O 0.035 0.151 0.389
O 0.038 0.793 0.064
O 0.042 0.180 0.278
O 0.106 0.677 0.774
O 0.114 0.645 0.885
O 0.116 0.305 0.556
O 0.133 0.328 0.168
O 0.133 0.646 0.170
O 0.138 0.667 0.497
O 0.142 0.334 0.447
O 0.155 0.983 0.228
O 0.156 0.004 0.106
O 0.159 0.307 0.841
O 0.164 0.979 0.501
O 0.168 0.999 0.822
O 0.195 0.569 0.391
O 0.198 0.742 0.272
O 0.207 0.228 0.056
O 0.208 0.087 0.608
O 0.208 0.403 0.666
O 0.208 0.405 0.943
O 0.208 0.577 0.664
O 0.213 0.902 0.719
O 0.223 0.083 0.329
O 0.224 0.912 0.006
O 0.238 0.237 0.343
O 0.239 0.877 0.609
O 0.240 0.432 0.064
O 0.241 0.741 0.989
O 0.242 0.090 0.720
O 0.243 0.219 0.944
O 0.243 0.898 0.330
O 0.245 0.089 0.002
O 0.248 0.564 0.995
O 0.249 0.407 0.346
O 0.252 0.749 0.394
O 0.257 0.534 0.272
O 0.257 0.757 0.674
O 0.260 0.221 0.665
O 0.392 0.219 0.160
O 0.393 0.537 0.770
O 0.395 0.446 0.559
O 0.395 0.762 0.166
O 0.398 0.572 0.484
O 0.401 0.097 0.495
O 0.403 0.230 0.443
O 0.404 0.408 0.843
O 0.409 0.094 0.222
O 0.409 0.769 0.885
O 0.410 0.891 0.108
O 0.410 0.897 0.825
O 0.425 0.231 0.845
O 0.430 0.232 0.555
O 0.432 0.579 0.171
O 0.433 0.077 0.829
O 0.433 0.740 0.489
O 0.438 0.077 0.110
O 0.438 0.402 0.169
O 0.439 0.901 0.219
O 0.442 0.754 0.773
O 0.445 0.896 0.495
O 0.455 0.408 0.441
O 0.468 0.570 0.890
O 0.481 0.998 0.319
O 0.487 0.985 0.007
O 0.494 0.982 0.725
O 0.501 0.323 0.945
O 0.505 0.311 0.338
O 0.513 0.642 0.384
O 0.516 0.337 0.661
O 0.516 0.648 0.667
O 0.519 0.005 0.602
O 0.520 0.673 0.995
O 0.539 0.303 0.056
O 0.545 0.675 0.275
O 0.605 0.175 0.774
O 0.612 0.803 0.556
O 0.633 0.148 0.167
O 0.633 0.504 0.103
-- stop --
**Exercise:**
Next, type out all of the data further up without additions.
**Solution:**
A plane-wave DFT calculation with PBE was carried out for a relaxed structure of Na14Al4Zn4Si5S7O48.

Lattice parameters (Å, degrees): 8.887 15.555 21.765 90.40 90.06 90.01
Fractional coordinates of all 246 atoms:
Na 0.000 0.000 0.000
Na 0.003 0.971 0.326
Na 0.012 0.672 0.666
Na 0.013 0.305 0.678
Na 0.021 0.643 0.001
Na 0.133 0.804 0.167
Na 0.137 0.134 0.499
Na 0.141 0.170 0.161
Na 0.149 0.473 0.832
Na 0.153 0.508 0.502
Na 0.173 0.156 0.834
Na 0.188 0.826 0.490
Na 0.212 0.491 0.164
Na 0.314 0.333 0.249
Na 0.319 0.986 0.918
Na 0.320 0.653 0.079
Na 0.324 0.331 0.753
Na 0.334 0.979 0.412
Na 0.336 0.647 0.580
Na 0.436 0.491 0.668
Na 0.459 0.827 0.994
Na 0.473 0.149 0.332
Na 0.495 0.479 0.324
Na 0.501 0.509 0.001
Na 0.512 0.808 0.668
Na 0.515 0.170 0.666
Na 0.633 0.672 0.160
Na 0.637 0.308 0.165
Na 0.648 0.005 0.501
Na 0.654 0.977 0.830
Na 0.676 0.652 0.839
Na 0.685 0.328 0.495
Na 0.712 0.989 0.164
Na 0.814 0.144 0.078
Na 0.818 0.481 0.915
Na 0.822 0.144 0.584
Na 0.825 0.493 0.414
Na 0.826 0.831 0.249
Na 0.834 0.833 0.753
Na 0.939 0.990 0.667
Na 0.962 0.326 0.990
Na 0.978 0.657 0.331
Al 0.314 0.333 0.895
Al 0.322 0.649 0.426
Al 0.322 0.968 0.272
Al 0.322 0.984 0.768
Al 0.322 0.988 0.059
Al 0.331 0.335 0.400
Al 0.816 0.498 0.564
Al 0.831 0.473 0.775
Al 0.833 0.149 0.926
Al 0.834 0.487 0.265
Al 0.834 0.834 0.394
Al 0.836 0.843 0.906
Zn 0.311 0.641 0.737
Zn 0.317 0.343 0.597
Zn 0.319 0.646 0.240
Zn 0.325 0.649 0.932
Zn 0.325 0.986 0.565
Zn 0.341 0.336 0.097
Zn 0.810 0.838 0.597
Zn 0.820 0.139 0.425
Zn 0.824 0.489 0.064
Zn 0.830 0.146 0.742
Zn 0.837 0.141 0.234
Zn 0.853 0.845 0.090
Si 0.048 0.991 0.166
Si 0.101 0.490 0.665
Si 0.127 0.821 0.001
Si 0.168 0.502 0.333
Si 0.171 0.470 0.001
Si 0.179 0.798 0.334
Si 0.480 0.479 0.497
Si 0.483 0.503 0.832
Si 0.539 0.492 0.167
Si 0.611 0.992 0.667
Si 0.663 0.001 0.331
Si 0.671 0.981 0.998
Si 0.972 0.299 0.834
Si 0.977 0.972 0.500
Si 0.982 0.002 0.831
S 0.017 0.660 0.831
S 0.033 0.323 0.498
S 0.131 0.163 0.334
S 0.181 0.177 0.999
S 0.181 0.841 0.667
S 0.182 0.136 0.665
S 0.466 0.133 0.165
S 0.467 0.185 0.497
S 0.469 0.846 0.163
S 0.472 0.807 0.830
S 0.528 0.158 0.833
S 0.536 0.815 0.496
S 0.614 0.315 0.995
S 0.622 0.659 0.333
S 0.677 0.306 0.333
S 0.682 0.635 0.665
S 0.683 0.348 0.663
S 0.686 0.683 0.998
S 0.968 0.341 0.168
S 0.968 0.634 0.167
S 0.969 0.676 0.500
O 0.003 0.841 0.947
O 0.011 0.169 0.995
O 0.016 0.829 0.667
O 0.017 0.149 0.668
O 0.035 0.151 0.389
O 0.038 0.793 0.064
O 0.042 0.180 0.278
O 0.106 0.677 0.774
O 0.114 0.645 0.885
O 0.116 0.305 0.556
O 0.133 0.328 0.168
O 0.133 0.646 0.170
O 0.138 0.667 0.497
O 0.142 0.334 0.447
O 0.155 0.983 0.228
O 0.156 0.004 0.106
O 0.159 0.307 0.841
O 0.164 0.979 0.501
O 0.168 0.999 0.822
O 0.195 0.569 0.391
O 0.198 0.742 0.272
O 0.207 0.228 0.056
O 0.208 0.087 0.608
O 0.208 0.403 0.666
O 0.208 0.405 0.943
O 0.208 0.577 0.664
O 0.213 0.902 0.719
O 0.223 0.083 0.329
O 0.224 0.912 0.006
O 0.238 0.237 0.343
O 0.239 0.877 0.609
O 0.240 0.432 0.064
O 0.241 0.741 0.989
O 0.242 0.090 0.720
O 0.243 0.219 0.944
O 0.243 0.898 0.330
O 0.245 0.089 0.002
O 0.248 0.564 0.995
O 0.249 0.407 0.346
O 0.252 0.749 0.394
O 0.257 0.534 0.272
O 0.257 0.757 0.674
O 0.260 0.221 0.665
O 0.392 0.219 0.160
O 0.393 0.537 0.770
O 0.395 0.446 0.559
O 0.395 0.762 0.166
O 0.398 0.572 0.484
O 0.401 0.097 0.495
O 0.403 0.230 0.443
O 0.404 0.408 0.843
O 0.409 0.094 0.222
O 0.409 0.769 0.885
O 0.410 0.891 0.108
O 0.410 0.897 0.825
O 0.425 0.231 0.845
O 0.430 0.232 0.555
O 0.432 0.579 0.171
O 0.433 0.077 0.829
O 0.433 0.740 0.489
O 0.438 0.077 0.110
O 0.438 0.402 0.169
O 0.439 0.901 0.219
O 0.442 0.754 0.773
O 0.445 0.896 0.495
O 0.455 0.408 0.441
O 0.468 0.570 0.890
O 0.481 0.998 0.319
O 0.487 0.985 0.007
O 0.494 0.982 0.725
O 0.501 0.323 0.945
O 0.505 0.311 0.338
O 0.513 0.642 0.384
O 0.516 0.337 0.661
O 0.516 0.648 0.667
O 0.519 0.005 0.602
O 0.520 0.673 0.995
O 0.539 0.303 0.056
O 0.545 0.675 0.275
O 0.605 0.175 0.774
O 0.612 0.803 0.556
O 0.633 0.148 0.167
O 0.633 0.504 0.103